To do
Repeat the contents underneath from the first line to the one with "-0.40517 -2.87007" without additions.

Input
____________
# 1
This record from the Open Molecules 2025 dataset describes 2 unconnected molecules or ions with the total composition C10H15NO2 at a distorted geometry. The level of theory is ωB97M-V/def2-TZVPD.

Results
- SMILES: Cc1ccc(O)cc1.CCC(N)=O
- HOMO: -8.61 eV
- Orbital gap: 9.18 eV

Cartesian coordinates (Å):
C -0.96960 -1.33952 2.06686
C -0.20890 -0.12068 2.72325
C -2.21679 -1.02777 1.27786
O -2.81199 -1.87925 0.62318
N -2.68461 0.24748 0.97832
H -0.33064 -1.87353 1.38380
H -1.31071 -2.04225 2.83679
H -0.60714 0.78139 2.25458
H -3.45347 0.28842 0.27417
H -2.49099 1.18048 1.26482
H 0.86006 -0.20261 2.65664
H -0.37988 -0.16561 3.80362
C 1.82526 -1.94226 -2.27134
C -0.15864 0.88072 -0.71509
C 0.15077 -0.40288 -1.26474
C 0.92556 1.71937 -0.47588
C 1.46288 -0.69515 -1.54223
C 2.27310 1.40257 -0.67072
C 2.52316 0.14851 -1.16888
O 0.63664 3.05837 -0.33235
H -1.16811 1.20514 -0.87772
H -0.66094 -1.11546 -1.39943
H 0.32846 3.41436 0.50555
H 3.00554 2.17006 -0.46929
H 1.13072 -1.97312 -3.13194
H 1.54191 -2.82482 -1.64715
H 3.52877 -0.15597 -1.46192
H 2.88552 -2.24706 -2.42565



# 2
This record from the Open Molecules 2025 dataset describes a single C10H15NO2S molecule at a distorted geometry. The level of theory is ωB97M-V/def2-TZVPD.

Results
- HOMO (spin up / spin down): -8.41 / -8.44 eV
- Orbital gap (spin up / spin down): 7.14 / 8.07 eV

Cartesian coordinates (Å):
C 1.40237 0.47788 0.91141
C 1.01489 -0.89983 0.37331
C 0.26395 0.47720 -1.55238
C 0.43590 1.71348 0.63793
C 1.27366 -2.00792 -1.82120
C 0.41070 -0.99510 -0.99101
C -0.17196 1.56346 -0.64479
C -1.05938 1.57127 0.60111
C -1.72699 2.89227 0.93518
C -1.86743 0.43184 1.22242
N 1.58070 -3.22390 -1.32633
O 2.22557 -4.10471 -1.94989
O -1.19595 -2.85713 0.25411
S -1.21696 -2.06889 -1.00121
H 1.44781 0.29770 2.00426
H 2.39023 0.80592 0.45907
H 1.96018 -1.41576 0.33689
H 0.11946 -1.27908 1.02460
H -0.35218 0.32892 -2.54640
H 1.21800 0.76026 -1.98594
H 0.92605 2.65989 0.74181
H 1.53715 -1.69050 -2.81162
H -2.53787 3.15167 0.27344
H -1.11305 3.77787 1.16075
H -2.00509 2.65640 1.96233
H -1.21562 -0.10275 1.97154
H -2.33342 -0.26070 0.42554
H -2.61670 0.83432 1.74869
H 1.20595 -3.49407 -0.41363



# 3
This record from the Open Molecules 2025 dataset describes 2 unconnected molecules or ions with the total composition C10H15O2P at a distorted geometry. The level of theory is ωB97M-V/def2-TZVPD.

Results
- HOMO: -7.82 eV
- Orbital gap: 8.34 eV

Cartesian coordinates (Å):
C -1.54005 -3.61515 -1.80297
C -0.40517 -2.87007 -1.99089
C -2.55970 -3.04691 -0.98019
C -0.17730 -1.64762 -1.33453
C -2.40431 -1.75249 -0.40803
C -1.21983 -1.06762 -0.54699
C 0.35482 3.17698 -0.44381
C 1.28576 0.44743 2.17134
C 0.61012 1.83010 -0.92238
C 0.58781 -0.48630 1.28568
O 1.88818 1.30713 -0.99126
O 0.16149 -1.49595 2.17745
P -0.93588 0.43109 0.48724
H -1.61084 -4.55326 -2.37346
H 0.31433 -3.24288 -2.64853
H -3.46451 -3.66156 -0.93714
H 0.79127 -1.13351 -1.49090
H -3.03571 -1.26356 0.25926
H -0.63912 3.22474 -0.10172
H 0.49530 3.90465 -1.20396
H 1.13994 3.41149 0.39352
H 0.61640 0.66625 2.90723
H 2.23438 -0.04015 2.52793
H 1.30172 1.41739 1.63530
H 0.08456 1.58181 -1.83296
H 1.01290 -0.88373 0.44101
H 2.30210 1.43424 -0.12517
H -0.31477 -2.24159 1.78592



# 4
This record from the Open Molecules 2025 dataset describes a gas-phase ion, C10H15O3S (charge -1) at a distorted geometry. The level of theory is ωB97M-V/def2-TZVPD.

Results
- Net charge: -1
- HOMO (spin up / spin down): -3.59 / -4.04 eV
- Orbital gap (spin up / spin down): 6.66 / 7.10 eV

Cartesian coordinates (Å):
C -0.01126 1.37180 1.21770
C 0.56997 1.54267 -0.01080
C -1.76206 -0.08722 0.71993
C -0.36166 -0.02883 1.38422
C -1.69384 0.03916 -0.76171
C 0.87049 0.24889 -0.53880
C 0.75124 -0.71608 0.59127
C 1.75777 0.00128 -1.70849
C 2.08279 -0.88409 1.38765
C 0.36187 -2.16324 0.12031
O -3.15396 1.16541 -2.42030
O -2.93110 2.29780 -0.23484
O -1.12781 2.48202 -1.81073
S -2.22949 1.62965 -1.37612
H -0.45731 2.11198 1.83181
H 0.57994 2.36425 -0.67403
____________

Response
# 1
This record from the Open Molecules 2025 dataset describes 2 unconnected molecules or ions with the total composition C10H15NO2 at a distorted geometry. The level of theory is ωB97M-V/def2-TZVPD.

Results
- SMILES: Cc1ccc(O)cc1.CCC(N)=O
- HOMO: -8.61 eV
- Orbital gap: 9.18 eV

Cartesian coordinates (Å):
C -0.96960 -1.33952 2.06686
C -0.20890 -0.12068 2.72325
C -2.21679 -1.02777 1.27786
O -2.81199 -1.87925 0.62318
N -2.68461 0.24748 0.97832
H -0.33064 -1.87353 1.38380
H -1.31071 -2.04225 2.83679
H -0.60714 0.78139 2.25458
H -3.45347 0.28842 0.27417
H -2.49099 1.18048 1.26482
H 0.86006 -0.20261 2.65664
H -0.37988 -0.16561 3.80362
C 1.82526 -1.94226 -2.27134
C -0.15864 0.88072 -0.71509
C 0.15077 -0.40288 -1.26474
C 0.92556 1.71937 -0.47588
C 1.46288 -0.69515 -1.54223
C 2.27310 1.40257 -0.67072
C 2.52316 0.14851 -1.16888
O 0.63664 3.05837 -0.33235
H -1.16811 1.20514 -0.87772
H -0.66094 -1.11546 -1.39943
H 0.32846 3.41436 0.50555
H 3.00554 2.17006 -0.46929
H 1.13072 -1.97312 -3.13194
H 1.54191 -2.82482 -1.64715
H 3.52877 -0.15597 -1.46192
H 2.88552 -2.24706 -2.42565



# 2
This record from the Open Molecules 2025 dataset describes a single C10H15NO2S molecule at a distorted geometry. The level of theory is ωB97M-V/def2-TZVPD.

Results
- HOMO (spin up / spin down): -8.41 / -8.44 eV
- Orbital gap (spin up / spin down): 7.14 / 8.07 eV

Cartesian coordinates (Å):
C 1.40237 0.47788 0.91141
C 1.01489 -0.89983 0.37331
C 0.26395 0.47720 -1.55238
C 0.43590 1.71348 0.63793
C 1.27366 -2.00792 -1.82120
C 0.41070 -0.99510 -0.99101
C -0.17196 1.56346 -0.64479
C -1.05938 1.57127 0.60111
C -1.72699 2.89227 0.93518
C -1.86743 0.43184 1.22242
N 1.58070 -3.22390 -1.32633
O 2.22557 -4.10471 -1.94989
O -1.19595 -2.85713 0.25411
S -1.21696 -2.06889 -1.00121
H 1.44781 0.29770 2.00426
H 2.39023 0.80592 0.45907
H 1.96018 -1.41576 0.33689
H 0.11946 -1.27908 1.02460
H -0.35218 0.32892 -2.54640
H 1.21800 0.76026 -1.98594
H 0.92605 2.65989 0.74181
H 1.53715 -1.69050 -2.81162
H -2.53787 3.15167 0.27344
H -1.11305 3.77787 1.16075
H -2.00509 2.65640 1.96233
H -1.21562 -0.10275 1.97154
H -2.33342 -0.26070 0.42554
H -2.61670 0.83432 1.74869
H 1.20595 -3.49407 -0.41363



# 3
This record from the Open Molecules 2025 dataset describes 2 unconnected molecules or ions with the total composition C10H15O2P at a distorted geometry. The level of theory is ωB97M-V/def2-TZVPD.

Results
- HOMO: -7.82 eV
- Orbital gap: 8.34 eV

Cartesian coordinates (Å):
C -1.54005 -3.61515 -1.80297
C -0.40517 -2.87007 -1.99089